Thank you for your diligence in explaining complicated topics in a way that makes them accessible to people trying to learn what people before them figured out. You are a true educator that seems have found a place to support you to continue doing that.
Are you concerned that your git exposition is much longer than the other guides you have produced?
This is incomplete, incorrect, and irrelevant. Standard notation already exists. I'm sure it is fun to draw squiggly lines and some people enjoy reinventing the wheel. Spend some time learning what others have taught us before striking out on your own lonely path.
I'm hoping the Tensor Cookbook can become as engaging to read for others as Jordan Taylor's paper was to me. If you have any thoughts on where I lose people, please share!
Tensor diagrams are standard, but some notation is missing. My goal was to be able to handle the entire Matrix Cookbook.
For this I needed a good notation for functions applied to specific dimensions and broadcasting over the rest. Like softmax in a transformer.
The function chapter is still under development in the book though. So if you have any good references for how it's been done graphically in the past, that I might have missed, feel free to share them.
You can do broadcasting with a tensor, at least for products and sums. The product is multilinear, and a sum can be in two steps, first step using a tensor to implement fanout. Though I can see the value in representing structure that can be used more efficiently versus just another box for a tensor. Beyond that (softmax?) seems kind of awkward since you're outside the domain of your "domain specific language". I don't know why it's needed to extend the matrix cookbook to tensor diagrams.
I come back to this every few months and do some work trying to make sense of how tensors are used in machine learning. Tensors, as used in physics and whose notation these tools inherit, are there for coordinate transforms and nothing else.
Tensors, as used in ML, are much closer to a key-value store with composite keys and scalar values, with most of the complexity coming from deciding how to filter on those composite keys.
Drop me a line if you're interested in a chat. This is something I've been thinking about for years now.
The Wikipedia page on this is sufficient. If F:X -> Y is a function between normed linear spaces then DF:X -> L(X,Y), where L(X,Y) is the vector space of linear operators from X to Y, satisfies F(x + h) = F(x) + DF(x)h + o(h). A function is differentiable if it can be locally approximated by a linear operator.
Some confusion arises from the difference between f:R -> R and f':R -> R. It's Fréchet derivative is Df:R -> L(R,R) where Df(x)h = f'(x)h. Row vectors and column vectors a just a clumsy way of thinking about this.
Let S = {1, 2}. Every distance function is determined by d(1,2) = a, a >= 0. Define f(d) = {{1,2}} if a = 0 and f(d) = {{1},{2}} otherwise. Isn't this a clustering algorithm that is scale invariant, rich, and consistent?
Looks that way to me, yeah, though this is obviously a super simple case. It's clearly scale invariant and there are only two partitions, which your algorithm hits, so it's rich. Completeness is trivially satisfied in both cases too.
i think i found the issue: the paper says distance function is 0 IFF elements are equal. so for this example, you can not define d(1,2) as equal to 0. so it is not rich, as this is the only way to get the partition {{1,2}}.
Oh, I see, it's not a true metric. That's fair enough, though I wonder if the result depends critically on that assumption.
(you can pass to equivalence classes to recover a true metric, and I didn't see anything obviously incompatible with that in the paper, but I admit I didn't look very deeply)
That tax case didn't concern their alpha. It was a result of the ruling body deciding that they had inaccurately grouped short term profits with long term profits, through the use of basket options. The ruling in this case was simply the short term gains that were grouped into basket options weren't able to be taxed like the long term gains they were construing them as.
We agree. The case was about Renaissance breaking the law. The best lawyers their money could buy lost and did not avail themselves of their right to appeal. The ruling body found they were tax cheats.
Philanthropic work is great way to get shills to come out of the woodworks.
They didn't exactly cheat. According to the rules as written, what they did was acceptable. Others who were slightly less blatant about it were permitted, and continue to be permitted, to do the same thing.
Category theory is just another way of looking at math besides the impoverished notion "everything is a set". Mathematics is used in computer science. Rust is a great example. Jean-Yves Girard invented linear logic to make Gerhard Gentzen's sequent calculus symmetric, similar to Paul Dirac's theory that led to the discovery of positrons. Girard's concern about using a proposition exactly once in a proof led to borrow checking.
Putting on category theory glasses can help discover and clarify new facts. Thinking in terms of objects and arrows leads to duality: reverse the direction of the arrows.
The category Set is only one of many categories. The objects are sets and the arrows are functions. A function I -> S that is 1-1/injective/mono[1] corresponds to the set theory notion of a "subset". The dual is a function S -> I that is onto/surjective/epi[2]. What set theory notion does this correspond to?
-- Records of crystals, as found in the file --
<<<
[1]
Computed powder diffraction line list of Sr3Pd6Pb5 for CuKα, from a crystal structure in Alexandria, relaxed with PBE.
Lines closer than 0.1° are merged.

Structural model:
abc: 4.6643 13.9495 10.4216
angles: 90.00 90.00 90.00
Space group Pmmn (No. 59, origin choice 2)
One atom of each set of equivalent atoms:
Sr 0.2500 0.0604 0.2494 [4 per cell]
Sr 0.2500 0.7500 0.2639 [2 per cell]
Pd 0.2500 0.0848 0.8601 [4 per cell]
Pd 0.2500 0.2500 0.0247 [2 per cell]
Pd 0.2500 0.2500 0.4307 [2 per cell]
Pd 0.2500 0.6311 0.5316 [4 per cell]
Pb 0.2500 0.0785 0.5904 [4 per cell]
Pb 0.2500 0.6086 0.9899 [4 per cell]
Pb 0.2500 0.7500 0.7490 [2 per cell]

The 12 most intense peaks (15 to 90 degrees two-theta), in order of rising 2θ:
Position (°2θ)	d (Å)	Rel. int.
17.02	5.211	174
20.89	4.251	258
28.42	3.140	212
30.85	2.898	235
32.15	2.784	1000
34.67	2.587	292
37.59	2.393	227
38.60	2.332	459
38.73	2.325	238
40.17	2.245	236
41.50	2.176	399
44.34	2.043	167

***

[2]
Computed powder diffraction line list of Sr3Pd7Pb2 for CuKα, from a crystal structure in Alexandria, relaxed with PBE.
Lines closer than 0.1° are merged.

Structural model:
abc: 5.8598 5.8598 26.7179
angles: 90.00 90.00 120.00
Space group R-3m (No. 166, hexagonal axes)
One atom of each set of equivalent atoms:
Sr 0.0000 0.0000 0.0000 [3 per cell]
Sr 0.0000 0.0000 0.1408 [6 per cell]
Pd 0.0000 0.0000 0.5000 [3 per cell]
Pd 0.0001 0.5001 0.0844 [18 per cell]
Pb 0.0000 0.0000 0.3326 [6 per cell]

The 12 most intense peaks (15 to 90 degrees two-theta), in order of rising 2θ:
Position (°2θ)	d (Å)	Rel. int.
17.79	4.986	317
30.51	2.930	307
35.54	2.526	130
36.72	2.448	1000
37.93	2.372	137
39.31	2.292	357
40.52	2.226	210
41.20	2.191	157
42.80	2.113	131
58.35	1.581	261
63.50	1.465	241
78.09	1.224	184

***

[3]
Computed powder diffraction line list of SrPd6Pb6 for CuKα, from a crystal structure in Alexandria, relaxed with PBE.
Lines closer than 0.1° are merged.

Structural model:
abc: 5.9113 9.4424 10.2578
angles: 90.00 90.00 90.00
Space group Immm (No. 71)
One atom of each set of equivalent atoms:
Sr 0.0000 0.0000 0.0000 [2 per cell]
Pd 0.0000 0.2603 0.5000 [4 per cell]
Pd 0.2500 0.2500 0.2500 [8 per cell]
Pb 0.0000 0.0000 0.3411 [4 per cell]
Pb 0.0000 0.3389 0.0000 [4 per cell]
Pb 0.0000 0.5000 0.3248 [4 per cell]

The 12 most intense peaks (15 to 90 degrees two-theta), in order of rising 2θ:
Position (°2θ)	d (Å)	Rel. int.
30.21	2.958	963
35.02	2.562	304
35.82	2.507	913
36.79	2.443	240
38.12	2.361	245
40.04	2.252	1000
42.15	2.144	412
57.37	1.606	231
61.98	1.497	263
62.82	1.479	386
67.40	1.389	389
83.53	1.157	221

***

[4]
Computed powder diffraction line list of Sr2Pd3Pb4 for CuKα, from a crystal structure in Alexandria, relaxed with PBE.
Lines closer than 0.1° are merged.

Structural model:
abc: 6.0351 10.7630 14.4892
angles: 90.00 90.00 90.00
Space group Fmmm (No. 69)
One atom of each set of equivalent atoms:
Sr 0.0000 0.0000 0.1250 [8 per cell]
Pd 0.0000 0.0000 0.5000 [4 per cell]
>>>
Hint: Look into David Ellerman. He is the von Neumann of our times.
[1] f is mono if fg = fh implies g = h.
[2] f is epi if gf = hf implies g = h.
This. Motivation is the key to getting employees to produce over a period of time. Give the good ones the maximum amount of ownership they can handle and they will set an example for everyone else. Grow the talent over time.
Fire the whinny shit-talkers as soon as possible. They drag everyone down.
And, like, a LARPing mode I could use while sitting in my mom's basement that would automagically post every brain fart I had to HN. That would be totally cool!
When I worked at Bloomberg their first coding guideline was "Don't sweat the small stuff." I was mystified by that when I first read it. Then I sat in meetings where someone would drone on about how clever they thought their code was until someone asked "Is this small stuff?" It would shut them up so we could move on to more important matters.